hdr Business

For businesses, we make it easy to establish water and wastewater services. Below is our most requested information for businesses, retail developers, and residential developers. If you have additional questions, please contact us at (256) 772.0253, email us at This email address is being protected from spambots. You need JavaScript enabled to view it., or visit our office at 101 Ray Sanderson Drive.

View our latest rate resolution.

View our New Development Fees Summary

View our latest Rate Summary

Construction Specifications Manual
View our water and wastewater construction specifications manual.

Easement Information

View our easement information document.


To better serve our customers, we have combined our turn-in and review process with the City of Madison Planning, Engineering & Building Department. The following procedure should be followed to submit subdivision plats and site plans. Items submitted for review will not be placed on the agenda until the steps outlined below have been completed.

  1. Submit nine (9) copies of the completed plans to the Secretary of the Planning Commission 30 days prior to the regular scheduled Planning Commission meeting. The nine (9) copies will be distributed by the Planning Division to the following for review:
    • Planning Division
    • Engineering Department
    • Fire Department
    • Police Department
    • Public Works Department
    • Madison Utilities

  2. Madison Utilities reviews all plans for compliance to Madison Utilities specifications. Drawings are marked up and returned to the Secretary of the Planning Commission for technical review at the City.

~~~
(1)
{
  "formula": "C33H90BClFN25O20",
  "method": "ωB97M-V with the def2-TZVPD basis set",
  "elements": ["C", "C", "O", "C", "C", "O", "C", "C", "O", "C", "C", "F", "O", "C", "C", "C", "C", "C", "C", "C", "C", "O", "C", "C", "O", "C", "C", "C", "O", "Cl", "B", "N", "O", "H", "H", "H", "H", "H", "H", "H", "H", "H", "H", "H", "H", "H", "H", "H", "H", "H", "H", "H", "H", "H", "H", "H", "H", "H", "H", "H", "H", "H", "H", "H", "H", "H", "H", "H", "H", "H", "H", "H", "H", "H", "H", "C", "O", "N", "N", "H", "H", "H", "H", "C", "O", "N", "N", "H", "H", "H", "H", "C", "O", "N", "N", "H", "H", "H", "H", "C", "O", "N", "N", "H", "H", "H", "H", "C", "O", "N", "N", "H", "H", "H", "H", "C", "O", "N", "N", "H", "H", "H", "H", "C", "O", "N", "N", "H", "H", "H", "H", "C", "O", "N", "N", "H", "H", "H", "H", "C", "O", "N", "N", "H", "H", "H", "H", "C", "O", "N", "N", "H", "H", "H", "H", "C", "O", "N", "N", "H", "H", "H", "H", "C", "O", "N", "N", "H", "H", "H", "H"],
~~~
# So much for the calculated molecules

  3. The Technical Review Committee meets at 9:00 AM in conference Room 311A on the lower floor of City Hall, 15 days prior to the Planning Commission meeting. This time and place are subject to change so when you submit your project, you should check with staff to verify them. All projects are discussed in detail at this meeting and applicants will be given the opportunity to discuss any issues discovered during staff review. Applicants will be given a list of corrections that are required in order for the project to comply with City regulations and ordinances.

-- Misplaced quantum chemistry results --
=====
# 1
Molecular formula: C18H33Cl4N3O8S2
Method: DFT, the ωB97M-V functional and the def2-TZVPD basis

Last column: natural (NBO) charge in e.
Cartesian coordinates (Å):
C (16.49989, -6.25952, 7.65028)  -0.116
C (17.09395, -7.70868, 7.89189)  -0.086
O (15.92414, -8.50089, 7.66969)  -0.720
S (14.60699, -7.73701, 7.27078)  2.608
O (13.55724, -8.24036, 8.04311)  -0.926
O (14.47594, -7.69286, 5.88536)  -0.910
O (15.06531, -6.39481, 7.92292)  -0.691
H (16.63037, -5.93634, 6.61729)  0.204
H (16.87962, -5.53782, 8.36725)  0.219
H (17.38678, -7.86708, 8.90708)  0.215
H (17.91094, -7.99479, 7.25289)  0.204
C (17.27859, -9.24686, 14.46747)  -0.121
C (17.53206, -8.40097, 15.68244)  -0.086
O (16.41977, -8.69900, 16.50587)  -0.695
S (15.23344, -9.38626, 15.70142)  2.597
O (14.02461, -8.68920, 15.77860)  -0.890
O (15.25603, -10.76758, 16.02090)  -0.946
O (15.85745, -9.20821, 14.31770)  -0.699
H (17.60693, -10.32379, 14.58836)  0.203
H (17.74487, -8.91442, 13.55239)  0.240
H (17.55567, -7.38922, 15.50567)  0.194
H (18.47915, -8.72286, 16.17385)  0.205
C (19.84102, -11.32645, 8.73120)  -0.371
Cl (18.13757, -11.02597, 8.09281)  -0.053
Cl (19.69567, -12.00917, 10.37456)  -0.019
H (20.45443, -11.92360, 8.06568)  0.226
H (20.36771, -10.33673, 8.84229)  0.221
C (13.70026, -13.54881, 14.54702)  -0.369
Cl (12.20530, -12.70051, 14.24214)  -0.020
Cl (13.47609, -15.35829, 14.42896)  -0.075
H (14.40733, -13.34235, 13.78712)  0.231
H (13.99275, -13.30582, 15.57523)  0.244
C (10.82951, -5.72914, 9.80577)  -0.611
C (10.52440, -7.09345, 10.30840)  -0.382
C (9.15268, -7.33955, 10.87530)  -0.505
C (8.07963, -7.29294, 9.87708)  0.285
N (7.21739, -7.50906, 9.13582)  -0.328
H (10.20020, -5.42074, 8.99887)  0.212
H (11.82574, -5.51782, 9.48859)  0.227
H (10.53703, -5.01742, 10.61373)  0.194
H (11.28476, -7.40297, 11.12780)  0.207
H (10.66747, -7.81718, 9.53540)  0.213
H (8.92224, -6.57027, 11.65022)  0.236
H (9.15120, -8.25093, 11.39339)  0.249
C (13.07590, -9.51261, 12.65617)  -0.620
C (13.96074, -10.51437, 12.00484)  -0.392
C (14.56672, -10.00282, 10.72272)  -0.527
C (15.61005, -8.97981, 10.95259)  0.348
N (16.40195, -8.27330, 11.31209)  -0.414
H (12.51189, -9.98568, 13.48554)  0.226
H (12.28103, -9.26251, 11.93065)  0.188
H (13.61314, -8.60062, 12.95258)  0.221
H (13.48453, -11.43376, 11.79566)  0.223
H (14.85678, -10.62389, 12.64394)  0.206
H (13.71914, -9.67249, 10.05968)  0.259
H (14.96927, -10.86471, 10.24061)  0.266
C (11.59046, -13.28891, 8.37993)  -0.617
C (11.13909, -13.16476, 9.79687)  -0.382
C (11.97235, -14.03062, 10.78156)  -0.523
C (13.39824, -13.66255, 10.85042)  0.316
N (14.50770, -13.39484, 10.96819)  -0.371
H (11.14874, -12.53811, 7.69738)  0.228
H (11.33468, -14.28981, 8.02545)  0.204
H (12.67891, -13.18864, 8.33067)  0.209
H (10.06232, -13.51897, 9.81388)  0.214
H (11.04326, -12.06782, 10.07914)  0.209
H (11.87732, -15.04615, 10.38839)  0.248
H (11.62415, -13.98468, 11.78140)  0.265

Properties
Charge: 0
Frontier orbital gap in Eh: 0.413
=====
-- The text goes on --

  4. The issues discussed in the Technical Review meeting must be resolved and corrected drawings must be submitted 7 days after the Technical Review meeting. The applicant must submit 3 full sets of the corrected plans and 11 sets of the plan page (or in the case of a site plan, the site plan page) to the Secretary of the Planning Commission.

  5. Applicants are responsible for sending their own certified mailings for projects that are subject to a public hearing. The staff can assist you with procedures if you desire.

  6. Failure to follow these procedures, or to submit corrected drawings on time, or to resolve issues discussed by the Technical Review Committee by the deadline may result in the removal of the applicant's project from the Planning Commission agenda.

  7. After the project is approved at Technical Review it will be placed on the Madison Utilities agenda. The Madison Utilities board meets on the First and Third Monday of each month at 5:30 p.m. in the Main Office Conference Room, 101 Ray Sanderson Drive, Madison, Alabama.

  8. The Planning Commission of the City of Madison meets the 3rd Thursday of each month at 5:30 p.m. in the Council Chambers, 100 Hughes Road, Madison, Alabama. Please contact the Planning Commission Secretary at (256) 464-8427 for specific meeting and turn in dates.

Misplaced quantum chemistry results:
Formula: C5H13N3O
Source: the OMol25 dataset
Level of theory: ωB97M-V/def2-TZVPD

Bonds (Å) are listed after each position.
Atoms and positions in Å:
1 C -0.57095 -1.45251 1.41122  C2 1.487, H6 1.097, H7 1.092, H8 1.089
2 C -0.88769 -0.12873 0.81266  C1 1.487, C3 1.400, H9 1.086
3 C -0.02629 0.97215 0.73405  C2 1.400, N4 1.413, N5 1.416
4 N 1.32146 0.77282 1.10734  C3 1.413, H10 1.021, H11 1.014
5 N -0.51223 2.25784 1.07306  C3 1.416, H12 1.016, H13 1.015
6 H -0.94348 -1.46035 2.44285  C1 1.097
7 H -1.06227 -2.26465 0.87159  C1 1.092
8 H 0.50186 -1.63923 1.43767  C1 1.089
9 H -1.94048 0.05644 0.62314  C2 1.086
10 H 1.91275 0.92032 0.28852  N4 1.021
11 H 1.60996 1.45720 1.79774  N4 1.014
12 H -0.75765 2.85939 0.29149  N5 1.016
13 H -1.31438 2.34755 1.68808  N5 1.015
14 C 0.77108 -1.53214 -1.54998  N15 1.456, H18 1.092, H19 1.092, H20 1.090
15 N -0.33356 -0.58711 -1.47346  C14 1.456, C16 1.477, H21 1.015
16 C 0.01553 0.84610 -1.40776  N15 1.477, O17 1.237, H22 1.108
17 O 1.09435 1.26187 -1.84858  C16 1.237
18 H 1.30225 -1.43058 -2.49846  C14 1.092
19 H 0.38609 -2.54776 -1.44170  C14 1.092
20 H 1.47598 -1.32465 -0.74503  C14 1.090
21 H -1.12329 -0.81044 -2.07114  N15 1.015
22 H -0.91903 1.42647 -1.54330  C16 1.108

Summary:
E_tot ... -437.718371 Ha
Energy above the lowest of the compared OMol25 structures with the same formula, charge and spin ... 356.3 kJ/mol
Structure (SMILES) ... CC=C(N)N.CNC=O
Lowest unoccupied orbital energy ... 0.0094 Eh
Maximum force ... 0.07066 hartree/bohr
Kohn-Sham gap ... 7.9 eV


# 1
# CH2NO3S

The ion CH2NO3S with charge -1 in a non-equilibrium geometry (ωB97M-V/def2-TZVPD, the Open Molecules 2025 dataset).

Structure (XYZ):
```
8
Properties=species:S:1:pos:R:3:lowdin_charge:R:1
N -0.178 0.389 -1.119 0.0697
C 0.695 -0.404 -0.466 -0.5944
O 1.618 -1.049 -0.963 -0.0685
S 0.268 -0.139 1.571 0.6467
O 0.004 1.277 1.741 -0.5745
O -0.998 -1.024 1.762 -0.6262
H -0.539 0.242 -2.069 0.0978
H -0.871 0.709 -0.458 0.0494
```

As for the relative energy (zero: lowest compared OMol25 entry of this formula, charge and spin): 70.0 kJ/mol. The structure (SMILES) is NC([O-])=S(=O)=O. The charge is -1.


# 2
# CH2NO3S

The ion CH2NO3S with charge -1 in a non-equilibrium geometry (ωB97M-V/def2-TZVPD, the Open Molecules 2025 dataset).

Structure (XYZ):
```
8
Properties=species:S:1:pos:R:3:lowdin_charge:R:1
O 0.978 1.226 -0.726 -0.0308
C -0.036 0.928 -0.172 -0.8303
O -0.983 1.554 0.340 -0.0467
N -0.303 -0.557 -0.165 -0.5044
O -1.304 -0.945 0.807 -0.2084
S 1.114 -1.577 -0.264 0.6814
H -1.445 0.133 1.023 0.1199
H 1.978 -0.763 -0.843 -0.1808
```

As for the relative energy (zero: lowest compared OMol25 entry of this formula, charge and spin): 198.2 kJ/mol. The structure (SMILES) is O=C([O-])N(O)S. The charge is -1.


# 3
# CH2NO3S

A structure of composition CH2NO3S in a non-equilibrium geometry (ωB97M-V/def2-TZVPD, the Open Molecules 2025 dataset).

Structure (XYZ):
```
8
Properties=species:S:1:pos:R:3:lowdin_charge:R:1

Current Bids

Quinn 5,000,000 Gallon Water Storage Tank Reconditioning

2025 Service Truck

Box Inspections

Box Inspection Request

Issue Reporting

Report a Damaged or Malfunctioning Hydrant